So, you’ve decided on the kind of party you’ll host for your kids birthday, you’ve decided on the cake, balloons, and banners. But what about the party entertainer? What will you ask them to make sure your party is a hit? Kids party entertainment can be a difficult task, especially when the party is a huge one.

The global children’s entertainment centers market size was approximately $8.15 billion dollars in 2018 and is rising very rapidly. It is expected to reach nearly $15.37 billion by 2026, according to Allied Market Research.
So, from the industry as vast and varied as this one, how will you know which party entertainer to finalize? But do not worry, here is a list of seven questions you can ask the entertainer before finalizing them for your party!
1. Job Experience
Perhaps the most basic question you ought to ask the entertainer is regarding their job experience.
Granted, every amateur will not mess up the party, but it is still better to choose an entertainer who has been working in this field for quite some time. They will know just what to do or say to make the party a big hit!
2. Actual Performer(S)
Although most of the time the person you speak to shall be the performer at the party, this is not always the case, especially when the entertainer is assigned through a company or agency.
So, it is very important to clarify with the speaker regarding who will actually be at the party to perform for the kids.
3. Appropriate Setting
It is very important to remember that the party to be held is for kids, so the kind of music or performances have to be carefully curated.
Any kind of music or balloons or banners that may be inappropriate for kids may lead to a big disaster, so be sure to ask them to keep the themes and settings kid-friendly.
4. History Of Drug/Alcohol Abuse
This may be a slightly uncomfortable question to ask, but you must ask this politely nevertheless. A performer who slurs or seems out of sorts at a kids party will definitely not be welcomed. Therefore, be sure to clarify this politely with the performer before finalizing them.
5. Cost
Now, the cost of hiring will most certainly be written on the website from where you book your entertainer, but if it isn’t then this is one question that is absolutely vital before finalizing your entertainer.
Make sure to have the budget written down and approved by both you and the entertainer beforehand to avoid any sort of misconceptions while making the payment.
+++
Entry 1:
ORCA calculation (ωB97M-V/def2-TZVPD) on C4H6N4O in the gas phase in a non-equilibrium geometry.

The geometry in XYZ format:
```
15
Properties=species:S:1:pos:R:3
H 3.794 0.684 0.167
N 3.792 -0.439 -0.141
C 2.502 -0.643 -0.032
N 1.638 0.406 0.256
C 0.213 0.402 0.138
C -0.616 1.496 -0.008
N -1.972 1.066 -0.213
C -1.996 -0.187 -0.086
O -2.951 -1.113 -0.020
N -0.660 -0.751 -0.027
H 2.063 -1.685 -0.342
H 1.847 1.365 -0.372
H -0.224 2.648 0.320
H -3.763 -0.749 0.659
H -0.311 -1.752 0.524
```

Results
- Kohn-Sham gap: 0.3091 hartree
- Spin multiplicity: 1
- E_HOMO: -8.176 eV
- Energy relative to the best compared isomer or geometry (same formula, charge and spin): 341.9 kJ/mol

Entry 2:
ORCA calculation (ωB97M-V/def2-TZVPD) on C3H8BrNS in the gas phase in a non-equilibrium geometry.

The geometry in XYZ format:
```
14
Properties=species:S:1:pos:R:3
C -0.686 1.469 -0.425
C -0.572 0.546 0.670
C -0.737 -0.968 0.177
N 0.442 -1.258 -0.628
S 1.750 -1.595 0.123
Br 3.303 0.453 0.137
H -0.228 2.361 -0.135
H -0.344 0.924 -1.350
H -1.746 1.678 -0.664
H -1.241 0.567 1.409
H 0.321 0.487 1.258
H -1.056 -1.583 1.004
H -1.646 -0.972 -0.533
H 2.440 -2.109 -1.043
```

Results
- Kohn-Sham gap (spin up / spin down): 0.2903 / 0.2903 hartree
- Spin multiplicity: 1
- E_HOMO (spin up / spin down): -9.177 / -9.177 eV
- Energy relative to the best compared isomer or geometry (same formula, charge and spin): 32.2 kJ/mol

Entry 3:
ORCA calculation (ωB97M-V/def2-TZVPD) on C5H6O2 in the gas phase.

The geometry in XYZ format:
```
13
Properties=species:S:1:pos:R:3
O 2.237 -1.023 -0.113
C 1.491 -0.186 -0.564
C 0.170 0.203 0.001
C -0.345 1.536 -0.435
O -1.032 2.257 0.246
C -0.464 -0.418 1.211
C -0.747 -1.034 -0.111
H 1.682 0.285 -1.555
H -0.043 1.851 -1.457
H -1.244 0.223 1.616
H 0.145 -0.958 1.931
H -1.711 -0.936 -0.599
H -0.194 -1.941 -0.346
```

Results
- Kohn-Sham gap: 0.3870 hartree
- Spin multiplicity: 1
- E_HOMO: -10.036 eV
- Energy relative to the best compared isomer or geometry (same formula, charge and spin): 146.6 kJ/mol

Entry 4:
ORCA calculation (ωB97M-V/def2-TZVPD) on a gas-phase ion, C5H10N (charge +1) in a non-equilibrium geometry.

The geometry in XYZ format:
```
16
Properties=species:S:1:pos:R:3
C 1.453 0.395 -0.825
C 1.634 0.200 0.620
C -0.153 -1.465 -0.101
C -2.086 0.150 -0.175
C 0.303 -0.153 0.003
N -0.833 0.610 0.522
H 1.451 1.340 -1.174
H 2.018 -0.377 -1.524
H 2.335 -0.573 1.029
H 1.659 1.201 1.274
H -0.907 -1.749 0.523
H 0.346 -2.318 -0.573
H -2.010 0.060 -1.232
H -3.068 0.170 0.168
H -0.706 1.546 0.329
H -0.944 0.371 1.474
```

Results
- Kohn-Sham gap (spin up / spin down): 0.3363 / 0.3936 hartree
- Net charge: +1
- Spin multiplicity: 3
- E_HOMO (spin up / spin down): -12.392 / -16.152 eV
- Energy relative to the best compared isomer or geometry (same formula, charge and spin): 176.7 kJ/mol

Entry 5:
ORCA calculation (ωB97M-V/def2-TZVPD) on 2 unconnected molecules or ions with the total composition C4H8O in a non-equilibrium geometry.
+++
6. Activities
This goes hand in hand with the job experience. Are you hiring the entertainer to play a clown at the party? Or maybe a magician? Will there be interactive sessions with the kids?
These are questions that you should ask them to have a clear understanding of what the party and the entertainer will be like. The more interactive the entertainer is, the more your kids will enjoy it!
7. Hygiene and Sanitation
Nobody would like to see dirty props or grubby costumes at a party, right? It promotes an unclean environment and doesn’t make a very good impression. So, be sure to ask your performer if they regularly clean and sanitize their costumes, props, and other essentials before performing.
In today’s pandemic-ridden world, it is of utmost importance to check twice, or even thrice, the cleanliness of the items your performer is going to use. And with kids, it is especially important to be extra hygienic!
Over to you…
Before finalizing any kids party entertainers, be sure to ask these basic questions, as this will ensure a happy and safe event for both you as well as your kids!
There are definitely other questions you may ask, such as how far the entertainer is willing to travel because they too need to have their comfort, or if your entertainer is willing to interact with kids who have special needs, such as autistic children.
But do not worry, every entertainer is unique in their own way, and will surely ensure that your kids have a blast at the party!